**Job**
Please say how many lines of the contents below hold the word "Pr", as a bare number.

**Excerpt**
Entry 1:
Below is Sr2Cu2H7 after structural relaxation, with properties calculated at the GGA-PBE level.

POSCAR file:
```
Sr2Cu2H7
1.0
3.584 0.215 0.281
-0.372 5.940 0.120
-0.372 -1.424 5.768
Sr Cu H
2 2 7
direct
0.500 0.240 0.760 Sr
0.500 0.760 0.240 Sr
0.001 0.766 0.766 Cu
0.999 0.234 0.234 Cu
0.001 0.520 0.828 H
0.999 0.172 0.480 H
0.999 0.480 0.172 H
0.001 0.828 0.520 H
0.499 0.230 0.230 H
0.000 0.000 0.000 H
0.501 0.770 0.770 H
```

Calculated values
E, eV per atom: -3.3768



Entry 2:
Below is B2PSe6 after structural relaxation, with properties calculated at the GGA-PBE level.

POSCAR file:
```
B2PSe6
1.0
5.836 0.448 0.434
2.227 8.523 -0.299
2.227 -0.023 8.528
B P Se
4 2 12
direct
0.115 0.669 0.819 B
0.385 0.181 0.331 B
0.885 0.331 0.181 B
0.615 0.819 0.669 B
0.250 0.239 0.761 P
0.750 0.761 0.239 P
0.279 0.806 0.653 Se
0.221 0.347 0.194 Se
0.721 0.194 0.347 Se
0.779 0.653 0.806 Se
0.903 0.767 0.443 Se
0.597 0.557 0.233 Se
0.097 0.233 0.557 Se
0.403 0.443 0.767 Se
0.100 0.768 0.035 Se
0.400 0.965 0.232 Se
0.900 0.232 0.965 Se
0.600 0.035 0.768 Se
```

Calculated values
Formation energy (no corrections), meV per atom: 25
E, eV per atom: -4.3834



Entry 3:
Below is Pr3Lu after structural relaxation, with properties calculated at the GGA-PBE level.

POSCAR file:
```
Pr3Lu
1.0
-0.942 -7.306 0.741
6.251 3.185 2.364
-2.428 0.848 5.278
Pr Lu
6 2
direct
0.169 0.337 0.250 Pr
0.663 0.831 0.250 Pr
0.169 0.831 0.250 Pr
0.831 0.663 0.750 Pr
0.337 0.169 0.750 Pr
0.831 0.169 0.750 Pr
0.333 0.667 0.750 Lu
0.667 0.333 0.250 Lu
```

Calculated values
Energy relative to the elements, eV/f.u.: 0.10
Polymorph energy (0 for the lowest one), meV per atom: 13
E, eV per atom: -4.6888



Entry 4:
Below is MnBiPt2 after structural relaxation, with properties calculated at the GGA-PBE level.

POSCAR file:
```
MnBiPt2
1.0
3.274 0.000 0.000
0.000 3.274 0.000
0.000 0.000 6.873
Mn Bi Pt
1 1 2
direct
0.500 0.500 0.000 Mn
0.500 0.500 0.500 Bi
0.000 0.000 0.794 Pt
0.000 0.000 0.206 Pt
```

Calculated values
Energy relative to the elements, eV/f.u.: -0.75
E, eV per atom: -6.4698



Entry 5:
Below is CsKLiHg2 after structural relaxation, with properties calculated at the GGA-PBE level.

POSCAR file:
```
CsKLiHg2
1.0
-2.629 4.834 -1.293
-3.615 -0.824 4.267
3.673 2.983 3.688
Cs K Hg Li
1 1 2 1
direct
0.500 0.500 0.500 Cs
0.000 0.000 0.500 K
0.000 0.500 0.000 Hg
0.500 0.000 0.000 Hg
0.000 0.000 0.000 Li
```

Calculated values
Energy relative to the elements, eV/f.u.: -0.44
Polymorph energy (0 for the lowest one), meV per atom: 0
E, eV per atom: -0.9826



Entry 6:
Below is NaAc2Hg8 after structural relaxation, with properties calculated at the GGA-PBE level.

POSCAR file:
```
NaAc2Hg8
1.0
5.356 0.000 0.000
0.000 7.549 -0.016
-2.678 -3.110 7.528
Na Ac Hg
1 2 8
direct
0.500 0.000 0.000 Na
0.793 0.327 0.587 Ac
0.207 0.673 0.413 Ac
0.401 0.573 0.801 Hg
0.648 0.868 0.296 Hg
0.847 0.851 0.693 Hg
0.992 0.276 0.985 Hg
0.153 0.149 0.307 Hg
0.352 0.132 0.704 Hg
0.599 0.427 0.199 Hg
0.008 0.724 0.015 Hg
```

Calculated values
Energy relative to the elements, eV/f.u.: -3.53
Polymorph energy (0 for the lowest one), meV per atom: 9
E, eV per atom: -1.4072



Entry 7:
Below is PrTmN2 after structural relaxation, with properties calculated at the GGA-PBE level.

POSCAR file:
```
PrTmN2
1.0
-2.569 -1.609 -1.649
3.853 -1.787 -4.258
1.129 -5.000 3.120
Pr Tm N
2 2 4
direct
0.500 0.910 0.000 Pr
0.000 0.090 0.500 Pr
0.500 0.579 0.500 Tm
0.000 0.421 0.000 Tm
0.000 0.733 0.743 N
0.500 0.267 0.757 N
0.000 0.733 0.257 N
0.500 0.267 0.243 N
```

Calculated values
Formation energy (no corrections), meV per atom: -1368
E, eV per atom: -7.8437



Entry 8:
Below is Rb3NiCl after structural relaxation, with properties calculated at the GGA-PBE level.

POSCAR file:
```
Rb3NiCl
1.0
6.255 0.000 0.000
0.000 6.255 0.000
0.000 0.000 6.255
Ni Rb Cl
1 3 1
direct
0.500 0.500 0.500 Ni
0.000 0.500 0.000 Rb
0.000 0.000 0.500 Rb
0.500 0.000 0.000 Rb
0.000 0.000 0.000 Cl
```

Calculated values

**Here it is**
10